Improve Workplace Morale and Wellbeing with Healthcare Communication

_Materials data from another source follow_
<<<
For Li4Ni2P3O12, a cell relaxed with GGA+U gives the theoretical PXRD pattern in this record (λ = 1.5418 Å (Cu Kα)).
Intensities are scaled so that the largest is 100.

Cell and atoms:
```
data_Li4Ni2P3O12
_chemical_formula_sum 'Li8 Ni4 P6 O24'
_space_group_name_H-M_alt 'P -1'
_space_group_IT_number 2
_cell_length_a 8.3113
_cell_length_b 8.4077
_cell_length_c 9.1321
_cell_angle_alpha 91.30
_cell_angle_beta 116.65
_cell_angle_gamma 119.12
loop_
_space_group_symop_operation_xyz
'x,y,z'
'-x,-y,-z'
loop_
_atom_site_label
_atom_site_type_symbol
_atom_site_fract_x
_atom_site_fract_y
_atom_site_fract_z
Li1 Li 0.0616 0.3313 0.1425
Li2 Li 0.1935 0.2710 0.8631
Li3 Li 0.3266 0.7932 0.5889
Li4 Li 0.3696 0.0597 0.0971
Ni1 Ni 0.2859 0.1444 0.4334
Ni2 Ni 0.3085 0.6494 0.9616
P1 P 0.2000 0.7468 0.2399
P2 P 0.2131 0.9563 0.7472
P3 P 0.4983 0.5474 0.7519
O1 O 0.0080 0.1427 0.2648
O2 O 0.0243 0.5327 0.1917
O3 O 0.1189 0.8749 0.2535
O4 O 0.1993 0.9781 0.5776
O5 O 0.2488 0.7881 0.0919
O6 O 0.3024 0.4428 0.0982
O7 O 0.3140 0.8360 0.8035
O8 O 0.3264 0.4986 0.8013
O9 O 0.3577 0.1530 0.8955
O10 O 0.3860 0.3950 0.5837
O11 O 0.4010 0.8024 0.4130
O12 O 0.4184 0.2499 0.2725
```

Peak list (12 most intense, 2θ from 15° to 90°, sorted by position)
d (Å)	Position (°2θ)	I (rel.)	hkl
4.550	19.5	100	0 1 1
4.532	19.6	39	1 0 -2
3.717	23.9	76	1 1 0
3.678	24.2	52	-1 2 1
3.648	24.4	20	-2 1 2
3.119	28.6	34	0 2 -2
3.087	28.9	32	2 0 0
3.045	29.3	28	-2 2 2
2.867	31.2	51	1 1 -3
2.854	31.3	46	2 -1 1
2.833	31.6	26	-1 2 2
1.780	51.3	21	3 -2 2

* * * * *

The following is a simulated powder X-ray diffraction pattern of Ba6Hf5S16. It was derived from a cell relaxed with PBE, using Cu Kα (λ = 1.5418 Å).

Peak list (8 most intense, 2θ = 5–70°, most intense first)
2θ/deg	d/Å	I (rel.)
25.0	3.562	100
25.2	3.539	59
35.9	2.503	48
44.2	2.048	45
51.3	1.781	28
35.4	2.535	22
58.3	1.584	22
43.9	2.061	20

Cell and atoms:
Cell lengths 28.108, 28.108, 28.108 Å; angles 169.78, 169.78, 14.47 degrees
Fractional coordinates of all 27 atoms:
Ba  0.045  0.045  0.000
Ba  0.133  0.133  0.000
Ba  0.218  0.218  0.000
Ba  0.782  0.782  0.000
Ba  0.867  0.867  0.000
Ba  0.955  0.955  0.000
Hf  0.319  0.319  0.000
Hf  0.410  0.410  0.000
Hf  0.500  0.500  0.000
Hf  0.590  0.590  0.000
Hf  0.681  0.681  0.000
S  0.000  0.500  0.500
S  0.090  0.590  0.500
S  0.179  0.679  0.500
S  0.274  0.274  0.000
S  0.321  0.821  0.500
S  0.365  0.365  0.000
S  0.410  0.910  0.500
S  0.455  0.455  0.000
S  0.500  0.000  0.500
S  0.545  0.545  0.000
S  0.590  0.090  0.500
S  0.635  0.635  0.000
S  0.679  0.179  0.500
S  0.726  0.726  0.000
S  0.821  0.321  0.500
S  0.910  0.410  0.500

* * * * *

No. 1
Calculated powder diffractogram
Compound: SrCd2Au8
Radiation: CuKα
Structure: a crystal structure in Alexandria, relaxed with GGA-PBE

Cell and atoms:
```
SrCd2Au8
1.0
5.520 0.000 0.000
0.000 5.520 0.000
0.000 0.000 9.406
Sr Cd Au
1 2 8
Cartesian
0.000 0.000 0.000
0.000 2.760 4.703
2.760 0.000 4.703
1.391 1.391 2.560
1.391 1.391 6.846
>>>
_Here the page continues_

Posted 15 October, 2020 in Hospitals and Healthcare, Culture

Healthcare communication to improve workplace morale

For any business, workplace morale and employee wellbeing can be the fuel that drives an organization forward or the fire that hinders its success.

Even at the best of times, maintaining a positive workplace morale and employee wellbeing in the healthcare sector can have its challenges. COVID-19 brings with it a heightened level of difficulty with 65% of employers claiming that ensuring employee morale has been a problem during the pandemic.

HR managers are no strangers to the negative implications of an unhappy and drained workplace.

With COVID-19 continuing its unrelenting reign, staff on all levels are weathering unprecedented scenarios daily with regular changes to protocol and an increased workload. These additional factors can bring on panic, raised stress levels, mental health issues, and a conflict between their duty to care for patients and their need to protect themselves and their families.

Is it possible to change this work environment for the better? The answer to this question is yes.

Effective communication in healthcare has never been more important. Healthcare organizations must take action to improve workplace culture by maintaining and boosting morale in the workplace and employee wellbeing.

Four Ways to Improve Workplace Morale and Employee Wellbeing

While the duty of keeping healthcare staff happy and well can seem challenging, there are some easily actionable steps you can put in place. Here, we'll outline four key ways you can support your employees by boosting morale and wellbeing during the pandemic and beyond.

1. Provide Regular and Visible Healthcare Communication

Effective healthcare communication is essential in improving workplace morale. In times of crisis and uncertainty, employees look to leadership for clarity, reassurance, and guidance, so it’s vital to step up your communication.

 A survey by Accountemps found that communication issues were the leading cause of low morale in the workplace. Unsurprisingly, effective communication was also the most popular solution to the problem. It's critical to offer wide, straightforward, and visible leadership communication in healthcare that provides clear direction and alleviates panic. 

Online Q&As, leadership blogs, and offering space in the corporate newsletter are good places to start. Connecting with staff through video messages is a great way to maintain leadership visibility and provide information sincerely.

HR leaders need to spend adequate time on healthcare communication, relaying the company vision widely and clearly to staff.  

Keeping your staff updated on your organization’s values, mission, and goals through screensavers is a great way to help them engage with your organization and up your communication skills. This can lead to a more positive company culture.

Healthcare communication - workplace morale screensaver

2. Employ Policies That Target Employee Wellbeing

Your employees can't pour from an empty cup. Healthcare leaders must focus as much on the wellbeing of their staff as they do their patients by engaging in tangible actions.

Research shows that providing opportunities for employees to boost their wellbeing can have substantial direct benefits for workplace morale, behavior, attendance, and performance. SHRM's Wellness 2013 report states that over 75% of high performing companies regularly include health status as part of their overall risk management strategy.

Implementing and publicizing policies that help ensure employee health and wellbeing can yield excellent results. Think about limiting overtime hours and even offering quiet and comfortable places for staff to rest in between shifts. Putting the structures in place for an employee wellbeing program can also be beneficial.

Daily Healthcare Employee Wellbeing Survey

SnapComms have created a Health Check-In Survey that your staff can use before working on site. Offering daily wellbeing check-ins and encouraging employee wellbeing with wellness reminders is a great way to prompt staff to practice self-care. This can ensure they are symptom-free, happy, and healthy. It’s also a great way to ensue patient safety.

Staff can also receive regular Ticker message reminders that allow them to keep on top of their mental health and physical wellbeing at work. The positive benefits can be felt in employee engagement, morale and patient satisfaction.

3. Give Staff Spaces to Feel Heard

Every team member can offer valuable contributions that benefit both them and the business. Hospital leaders in the throes of COVID-19 surges report the benefits of opening a dialogue with frontline employees to gain insights into how the evolving situation is impacting their wellbeing.

It's imperative to put the right measures in place to create a space where your employees feel free to offer ideas, ask questions and voice concerns about their wellbeing. Just knowing that their thoughts and opinions are valued can boost morale in the workplace.


Surveys can provide a valuable platform for meaningful dialogue that can help improve leadership decision making. They help capture feedback anonymously and gain the important insights that help inform actions to boost workplace morale and targeted employee wellbeing interventions. 

These could extend to focus groups, staff meetings or an open-door policy with senior staff members. It also provides psychological safety, empowering staff to speak up when they need to.

4. Reward and Recognize 

Your staff are deep in the trenches of a pandemic. It's important to acknowledge that it's hard and that staff are delivering under unprecedented circumstances. Making sure they feel recognized and valued can do a lot to improve their morale and wellbeing. 

Acknowledge that your staff are doing a great job by using healthcare communication to remind them of their strengths. Provide employee recognition by celebrating their achievements, birthdays, work anniversaries and cultural events.

birthday communications screensaver

Observe healthcare and worker awareness days with scrolling tickers, acknowledge achievements with personalized video messages from management, and embrace individual highlights through screensaver messages.

Some positive reinforcement amid a storm can be just the boost staff need and encourage a 'we're in this together mentality'. Even just having senior team members present and providing regular reassurance and affirmation can help alleviate stress and improve workplace culture.

For more advice on using healthcare communication to improve your workplace morale and employee wellbeing, speak to us about a free trial of the SnapComms platform today.

More Healthcare Communication Tips

Hospitals and Healthcare Culture

Diana Simumpande

More blogs by Diana Simumpande

Diana Simumpande is a Content Writer at SnapComms – an award-winning provider of internal communication software solutions. Storytelling is Diana’s creative nirvana. For her it’s all about using language to make difficult things a little easier to understand.